
So the only time a Romney campaign internal poll was correct, it seems.

Time to work harder. You can DO it!

Maybe I'm missing something, but it sounds like the two of you want the same thing. Right? So you aren't forcing him into anything. Regardless, it's good that you brought up your concerns. You've been together four years; he needs to know what you're thinking. He shouldn't expect you to read his mind though.

It always creeps me out how these people write like Son of Sam. It's not enough for them to be creepy, sexist racists, they have to make you imagine some reporter slowly easing the letter out of the envelope with tongs.

So her middle name is ByNorth, right? Right?!

The more articles that come out like this, the more I feel like I'm not supposed to be getting married if I want to be a "good feminist." I don't feel like I'm being cowed into some weird, domestic, gender-role-adhering agreement by the Patriarchy At Large, but every time an article about it pops up, I feel like

Mass. Republicans are definitely a different animal than the guys in national party. When Scott Brown was running against Elizabeth Warren, he was running ads featuring him with Obama, while in other states, Republicans were slamming their primary opponents for ever even having a conversation with the president.

Thosia Who Donate to Kickstarters Say Nosia to Zosia. "Dammit, Mamets!" says everyone.

Here the piece breaks off for molecular data.
┌──
Entry 1:
ORCA calculation (ωB97M-V/def2-TZVPD) on a structure of composition C26H27ErN3O7Si at a distorted geometry.

Geometry as XYZ:
```
65
Properties=species:S:1:pos:R:3:lowdin_spin:R:1
Er 0.131 1.848 -0.607 3.0047
O -3.412 3.025 -2.460 -0.0003
C -2.337 2.467 -2.302 0.0003
O -1.732 2.672 -1.170 -0.0002
C -1.788 1.585 -3.419 0.0003
C -2.620 1.510 -4.562 0.0001
C -2.293 0.753 -5.693 0.0000
C -1.095 0.040 -5.700 0.0000
C -0.215 0.063 -4.606 0.0000
C -0.556 0.836 -3.458 0.0002
O 0.284 0.833 -2.463 -0.0009
N 1.004 -0.700 -4.687 0.0000
O 1.786 -0.714 -3.785 0.0000
O 1.253 -1.335 -5.667 0.0000
N -3.171 0.711 -6.824 0.0000
O -2.889 0.064 -7.787 0.0000
O -4.198 1.322 -6.818 0.0000
H -3.556 2.052 -4.586 0.0000
H -0.842 -0.545 -6.575 0.0000
C 2.197 0.955 0.029 -0.0027
Si 1.622 -0.113 1.418 0.0011
C -0.043 -0.951 0.902 0.0010
N -0.957 0.036 0.294 -0.0036
C -1.789 -0.563 -0.756 -0.0002
C -2.826 -1.554 -0.221 -0.0002
C -3.521 -1.054 1.046 0.0001
C -3.277 0.434 1.261 0.0002
C -1.774 0.747 1.300 0.0011
C 1.434 0.768 3.078 0.0000
C 1.728 2.135 3.220 -0.0002
C 1.574 2.774 4.454 -0.0001
C 1.123 2.061 5.563 0.0000
C 0.823 0.708 5.441 0.0000
C 0.974 0.066 4.211 0.0000
C 2.959 -1.469 1.685 0.0002
C 3.832 -1.456 2.787 0.0000
C 4.801 -2.452 2.943 0.0000
C 4.922 -3.468 1.998 0.0000
C 4.079 -3.489 0.892 0.0000
C 3.106 -2.499 0.734 0.0000
H 2.454 0.334 -0.853 0.0008
H 3.074 1.627 0.133 0.0001
H -0.490 -1.487 1.747 0.0001
H 0.242 -1.704 0.158 0.0000
H -1.162 -1.053 -1.512 0.0000
H -2.300 0.243 -1.299 0.0000
H -2.357 -2.524 -0.015 0.0000
H -3.574 -1.734 -1.002 0.0000
H -3.140 -1.611 1.911 0.0000
H -4.596 -1.261 0.992 0.0000
H -3.744 0.757 2.199 0.0000
H -3.757 1.005 0.457 0.0000
H -1.416 0.555 2.318 0.0000
H -1.645 1.824 1.141 0.0006
H 2.076 2.724 2.374 -0.0002
H 1.806 3.832 4.547 0.0000
H 1.005 2.561 6.520 0.0000
H 0.471 0.149 6.305 0.0000
H 0.733 -0.995 4.150 0.0000
H 3.781 -0.671 3.540 0.0000
H 5.465 -2.429 3.803 0.0000
H 5.680 -4.237 2.120 0.0000
H 4.180 -4.274 0.147 0.0000
H 2.474 -2.541 -0.152 0.0000
H 0.000 2.806 1.163 -0.0022
```

For the HOMO energy (alpha / beta), the calculation gives -4.699 / -4.767 eV. The value obtained for the largest force on an atom is 3.243 eV Å⁻¹. Its net charge is -1. For the molecular weight, the calculation gives 688.86 g mol⁻¹. Its spin multiplicity is 4.



Entry 2:
ORCA calculation (ωB97M-V/def2-TZVPD) on a cluster of 9 separate species, C4H25NO8 in total at a distorted geometry.

Geometry as XYZ:
```
38
Properties=species:S:1:pos:R:3:lowdin_charge:R:1
C -1.827 2.085 0.775 0.0049
C -2.164 0.790 0.770 -0.1413
C -1.122 -0.312 0.614 -0.2597
N -1.262 -1.593 1.322 -0.0975
C -0.183 -1.819 2.213 -0.1439
H -2.498 2.888 1.026 0.0569
H -0.815 2.421 0.635 0.0545
H -3.151 0.388 0.802 0.0875
H -0.114 0.127 0.761 0.1113
H -0.967 -0.522 -0.441 0.0751
H -2.226 -1.725 1.572 0.1005
H 0.314 -0.920 2.585 0.0648
H 0.548 -2.550 1.876 0.0814
H -0.517 -2.390 3.017 0.0585
O 2.835 1.705 -1.002 -0.1725
H 3.163 0.810 -0.621 0.0093
└──

I'm glad you asked this, because I was just thinking of the exact same issue—how this compares with the "gluttonous skinny girl" trope. And I can see how something like Gilmore Girls is perhaps a little less awful in the way it role models (because it encourages a carefree approach to food), so that would perhaps be

The article is interrupted by quantum chemistry results:
- - -
[1]
This record from the OMol25 dataset describes a structure of composition C26H58F12I2N25O13S in a non-equilibrium geometry. The level of theory is wB97M-V/def2-TZVPD.

Calculated values
Charge: +1
F_max: 3.2 eV/Å
Highest occupied orbital energy: -10.643 eV
Gap between HOMO and LUMO: 6.778 eV

Positions of all 137 atoms, in Å:
1 C 3.09339 4.24647 1.84560
2 C 1.72165 3.99662 2.41624
3 I 1.13495 5.48956 3.79554
4 C 0.96285 2.94774 2.08912
5 I -0.97633 2.73176 2.91894
6 C 1.45110 1.89133 1.10583
7 C 0.67078 0.57421 1.09278
8 N -0.29883 0.53182 -0.03967
9 C 0.37539 0.61495 -1.25379
10 N 0.00319 -0.16663 -2.21229
11 C -1.06565 -1.16968 -2.09600
12 C -2.44548 -0.55064 -2.51578
13 C -3.51029 -0.71688 -1.47157
14 F -3.96338 0.39456 -0.83963
15 C -4.06395 -1.94551 -1.18731
16 F -3.38475 -2.91340 -0.60963
17 F -5.29329 -2.29579 -1.50140
18 N 1.37677 1.56901 -1.43616
19 S 2.82505 1.01076 -2.09057
20 O 3.47655 2.13933 -2.65652
21 O 2.61296 -0.06888 -3.00619
22 C 3.99471 0.40541 -0.78167
23 F 3.41293 -0.39208 0.12747
24 F 4.41527 1.50135 -0.13215
25 C 5.26920 -0.30780 -1.37629
26 F 6.29708 0.03617 -0.59169
27 F 5.54713 0.18638 -2.59633
28 C 5.15765 -1.86654 -1.48844
29 F 3.90295 -2.26475 -1.73352
30 F 5.89464 -2.22345 -2.56060
31 C 5.76015 -2.65371 -0.27672
32 F 5.51524 -2.03640 0.88544
33 F 7.06315 -2.81053 -0.42105
34 F 5.17774 -3.85456 -0.23598
35 C 1.50492 2.53085 -0.29230
36 H 3.62992 3.32577 1.61295
37 H 3.71701 4.84821 2.49992
38 H 2.97937 4.82684 0.92486
39 H 2.47268 1.64608 1.40413
40 H 0.08338 0.42863 1.99192
41 H 1.29895 -0.30600 1.00380
42 H -0.91838 1.34797 -0.01053
43 H 0.46190 -0.09615 -3.11547
44 H -1.07228 -1.61856 -1.11106
45 H -0.80178 -1.95559 -2.80358
46 H -2.28776 0.51241 -2.70111
47 H -2.75118 -0.99707 -3.45998
48 H 2.39261 3.13089 -0.46488
49 H 0.66002 3.21594 -0.39321
50 C 8.48879 1.17742 -5.24206
51 O 9.16264 2.03382 -5.78747
52 N 8.38071 -0.09661 -5.71299
53 N 7.77926 1.44825 -4.09633
54 H 7.82601 -0.79971 -5.26374
55 H 8.89476 -0.33955 -6.55287
56 H 7.84879 2.38045 -3.73165
57 H 7.21371 0.78050 -3.61296
58 C -6.92285 -5.52791 0.08476
59 O -6.63681 -5.86620 -1.05095
60 N -7.57390 -6.33757 0.96610
61 N -6.60036 -4.28116 0.56721
62 H -7.80501 -6.05031 1.89883
63 H -7.83972 -7.26700 0.66256
64 H -6.12320 -3.66365 -0.05911
65 H -6.81908 -3.96862 1.49380
66 C -7.92375 -10.35055 0.67111
67 O -7.99067 -9.15786 0.38810
68 N -6.99276 -11.17266 0.13171
69 N -8.78162 -10.93452 1.55653
70 H -6.91748 -12.14844 0.34752
71 H -6.35435 -10.77296 -0.53183
72 H -9.48864 -10.35316 1.96656
73 H -8.74254 -11.90430 1.80692
74 C 1.36266 -2.73395 3.33909
75 O 1.31242 -1.53662 3.08557
76 N 2.44035 -3.50330 3.01172
77 N 0.34729 -3.38518 3.97093
78 H 2.50459 -4.48307 3.21365
79 H 3.20849 -3.05000 2.55349
80 H -0.45573 -2.84319 4.23037
81 H 0.36792 -4.36231 4.19322
82 C 6.60468 5.83271 -3.45627
83 O 6.26117 6.54287 -2.52770
84 N 5.75967 4.91249 -4.01896
85 N 7.85173 5.88591 -4.00940
86 H 6.01743 4.31412 -4.78168
87 H 4.83697 4.84327 -3.63477
- - -

How dare they! Amusements parks are supposed to be meritocratic playgrounds never tainted by the stench of capitalism.

"Too little too late." - Catelyn Stark

Boy, I guess Piper really was never the same after Prue died.

I don't even click on those stories because it bothers me so much that Jez would continue reporting on this young woman so heavily. All the "I'm so concerned about you Amanda!" and sad faces don't justify Jez's obnoxious coverage.

Preach girl!!

Thanks! I am glad to see so many commenters feel the same way. I was surprised at the headline since I thought Jezebel knew their audience. I think another way they could have also gone with it would criticize other places for the insensitive way in which they are reporting on this. They could still include it in the

The link to Radar was pretty icky.

Could Jessica Coen or Anna Breslaw please explain why the mental health of a 15-year-old is material fit-to-print? I'm genuinely curious how you've rationalized this.

National Suicide Hotline, US: 1-800-273-TALK (8255)

How about we not scrutinize a suicidal, troubled child, Jezebel/Breslaw? Did a hard blow to your head dislodge your good judgment?

I had no idea who Blac China was but if this is Mandy's goal then I feel really bad for her. Plastic surgery and wigs can change a lot of things but ethnicity isn't one. All this for wheelchair Jimmy.